2016-12-27 programming

Building an IRC Chatbot

For Christmas 2016, my brother got me a Sphero BB8 droid that I lovingly hacked for a decent 1.5 days before I wanted to create an interface to let my club to play around as well. The perfect platform: Slack. Or, more specifically, IRC.

Our club's Slack channel is very active. I'm pretty sure the entire CS department at Notre Dame is in the chat now, but the small group that comes to meetings also keeps the rest up to date with their latest hackings, so neat projects and snippets of code are thrown around often in #lug. (It's a great learning environment and we love each other, shameless plug but check us out...)
So, creating a Slack interface for my BB8 droid was the proper next step. However, builing an IRC bot that works with Slack seemed like a better move, since it didn't take up one of the allotted apps/integrations Slack allows (chatbots, Github and Twitter integrations, etc.). Additionally, IRC doesn't require users to be human - or authenticate like a human - so it was a much easier conquest.

Our club advisor and professor, Dr. Peter Bui is also in our chat, along with his sassy IRC bot, Bobbit. Bobbit was the first IRC bot I've ever interacted with, so he kind of became what I expect bots to act like. I've also interacted with my boyfriend's Facebook/GroupMe chatbot, Wolfrat Bot, who is pretty similar to Bobbit in terms of functionality, from what I've seen. I didn't want to make a redundant bot that has the same functionality as Bobbit and Wolfrat, so I wanted to keep it simple and stick to a few keyword responses and a few commands to my Sphero BB8.

There were two big steps in making this chatbot: 1) making a regular, simple chatbot and 2) making the chatbot interact with the actual droid, hardware and all. This blog post will only go over #1. If you want to read about #2, hop on over to this post.

The basic BB8 bot is made simply from networks and the IRC protocol, obviously written in Python 2. It's very simple and doesn't use the entirety of the IRC protocol, but that's all that I need at this time. Maybe in the future I'll come back to this project and beef it up, but there is a big problem right now that makes continuing this project hard. I'll get back to that later.

Anyways, the only IRC commands I worked with are USER, PASS, NICK, JOIN, and PRIVMSG. But before that even matters, you have to make a socket so you can even connect with the server.


Since IRC works over TCP/IP and we want to use stream sockets and IPv4, the python2 code for this is irc = socket.socket(socket.AF_INET, socket.SOCK_STREAM).

Once the socket is created, you need to connect to some host at some port. For me, the command looked like irc.connect(("nd-cse.irc.slack.com", 6667)). Slack has a native IRC gateway (you can connect to Slack from your favorite IRC client, like WeeChat), and if you go to https://your-team-name.slack.com/account/gateways, you can find the correct HOST, USER, and PASS to use for connecting via IRC.

After connecting, you need to authenticate. IRC requires a few steps here, order mattered for me: sending the PASS, the NICK you want to use, the USER info, and then JOINing the channel you want. IRC also requires a certain format:

PASS super-secret-psk
NICK your-nick
USER your-nick your-host your-user : your-nick
JOIN your-channel

I always chose the same nick as my username. The python2 for this, with some of my details, looks like this:

(1)
# EuCdB5O10 (GGA-PBE, optimized geometry)
# Uncorrected energy ... -537.54 eV per cell
data_EuCdB5O10
_space_group_name_H-M_alt 'P 1'
_space_group_IT_number 1
_cell_length_a 7.9860
_cell_length_b 8.7582
_cell_length_c 12.9263
_cell_angle_alpha 48.71
_cell_angle_beta 90.00
_cell_angle_gamma 90.00
loop_
_space_group_symop_operation_xyz
'x,y,z'
loop_
_atom_site_label
_atom_site_type_symbol
_atom_site_fract_x
_atom_site_fract_y
_atom_site_fract_z
Eu1 Eu 0.1762 0.9586 0.2376
Eu2 Eu 0.6762 0.0414 0.2624
Eu3 Eu 0.8238 0.0414 0.7624
Eu4 Eu 0.3238 0.9586 0.7376
Cd1 Cd 0.4040 0.4714 0.1273
Cd2 Cd 0.9040 0.5286 0.3727
Cd3 Cd 0.5960 0.5286 0.8727
Cd4 Cd 0.0960 0.4714 0.6273
B1 B 0.5730 0.6674 0.2456
B2 B 0.0730 0.3326 0.2544
B3 B 0.4270 0.3326 0.7544
B4 B 0.9270 0.6674 0.7456
B5 B 0.3220 0.0774 0.4067
B6 B 0.8220 0.9226 0.0933
B7 B 0.6780 0.9226 0.5933
B8 B 0.1780 0.0774 0.9067
B9 B 0.5303 0.2804 0.4399
B10 B 0.0303 0.7196 0.0601
B11 B 0.4697 0.7196 0.5601
B12 B 0.9697 0.2804 0.9399
B13 B 0.6074 0.8526 0.9896
B14 B 0.1074 0.1474 0.5104
B15 B 0.3926 0.1474 0.0104
B16 B 0.8926 0.8526 0.4896
B17 B 0.3265 0.5315 0.4031
B18 B 0.8265 0.4685 0.0969
B19 B 0.6735 0.4685 0.5969
B20 B 0.1735 0.5315 0.9031
O1 O 0.7050 0.8142 0.2153
O2 O 0.2050 0.1858 0.2847
O3 O 0.2950 0.1858 0.7847
O4 O 0.7950 0.8142 0.7153
O5 O 0.5325 0.7099 0.1159
O6 O 0.0325 0.2901 0.3841
O7 O 0.4675 0.2901 0.8841
O8 O 0.9675 0.7099 0.6159
O9 O 0.4193 0.6933 0.2946
O10 O 0.9193 0.3067 0.2054
O11 O 0.5807 0.3067 0.7054
O12 O 0.0807 0.6933 0.7946
O13 O 0.6386 0.4588 0.3483
O14 O 0.1386 0.5412 0.1517
O15 O 0.3614 0.5412 0.6517
O16 O 0.8614 0.4588 0.8483
O17 O 0.4640 0.2202 0.3623
O18 O 0.9640 0.7798 0.1377
O19 O 0.5360 0.7798 0.6377
O20 O 0.0360 0.2202 0.8623
O21 O 0.3852 0.8972 0.4306
O22 O 0.8852 0.1028 0.0694
O23 O 0.6148 0.1028 0.5694
O24 O 0.1148 0.8972 0.9306
O25 O 0.2333 0.0234 0.5264
O26 O 0.7333 0.9766 0.9736
O27 O 0.7667 0.9766 0.4736
O28 O 0.2667 0.0234 0.0264
O29 O 0.3847 0.3345 0.4853
O30 O 0.8847 0.6655 0.0147
O31 O 0.6153 0.6655 0.5147
O32 O 0.1153 0.3345 0.9853
O33 O 0.6727 0.4141 0.0801
O34 O 0.1727 0.5859 0.4199
O35 O 0.3273 0.5859 0.9199
O36 O 0.8273 0.4141 0.5801
O37 O 0.4359 0.1263 0.1214
O38 O 0.9359 0.8737 0.3786
O39 O 0.5641 0.8737 0.8786
O40 O 0.0641 0.1263 0.6214

(2)
# Sb2O3 (GGA-PBE, optimized geometry)
# Uncorrected energy ... -119.20 eV per cell
data_Sb2O3
_space_group_name_H-M_alt 'P 1'
_space_group_IT_number 1
_cell_length_a 5.1929
_cell_length_b 5.5155
_cell_length_c 12.6227
_cell_angle_alpha 90.00
_cell_angle_beta 90.00
_cell_angle_gamma 90.00
loop_
_space_group_symop_operation_xyz
'x,y,z'
loop_
_atom_site_label
_atom_site_type_symbol
_atom_site_fract_x
_atom_site_fract_y
_atom_site_fract_z
Sb1 Sb 0.9468 0.1768 0.8729
Sb2 Sb 0.4468 0.3232 0.1271
Sb3 Sb 0.5532 0.1768 0.6271
Sb4 Sb 0.0532 0.3232 0.3729
Sb5 Sb 0.0532 0.8232 0.1271
Sb6 Sb 0.5532 0.6768 0.8729
Sb7 Sb 0.4468 0.8232 0.3729
Sb8 Sb 0.9468 0.6768 0.6271
O1 O 0.7500 0.0155 0.7500
O2 O 0.2500 0.4845 0.2500

irc.send("PASS " + password + "\r\n") 
irc.send("NICK " + nick + "\r\n")
irc.send("USER " + nick + " " + server + " bb8 : " + nick + "\r\n") 
irc.send("JOIN " + channel + "\r\n")

The returns and newlines matter.
That's all you need to connect, but you need more in order to stay connected.

Sending and receiving

Sending and receiving are pretty straightforward, but you do have to follow IRC formatting:

irc.send("PRIVMSG " + your-channel + " :" + your-msg + "\r\n") 
buff = irc.recv(2040) # 2040 is good enough, and buff will be the received text.  

Now you're able to have a little fun, but now you also know enough to stay connected. Per the IRC protocol, the server will send a "PING" message every once in a while to make sure that clients are still active. You have to respond with "PONG" if you want to keep your connection open:

if buff.find('PING') != -1: #assuming buff is the received text
    irc.send('PONG ' + buff.split()[1] + '\r\n') 


Quitting is the last necessary thing, and it's very straightforward:

irc.send("QUIT " + " : sad goodbye message \r\n")

That's it for the regular, simple chatbot. If you want to see all of this code put together, checkout my BB8 Droid repo. If you want to read about how I made this code work with the actual Sphero, check out my next blog post Chatbots and Droids.